Sunday, March 27, 2011

KS&L 348 The Challenges of Edgar Cayce Part 2

One of the cruelest tests of Edgar’s veracity was the time several supposed physicians sought to expose Mr. Cayce as a fraud while he was giving a reading. They physically assaulted him by sticking large needles into his arms, hands and feet. Edgar did not respond [because he was in trance]. Then one doctor cruelly stuck a needle all the way through Edgar’s cheeks. Finally one of them took a penknife and ran the blade under Edgar’s left forefinger. Slowly the nail was lifted away from the flesh. Needless to say, Mr. Cayce awoke in agony.

The twentieth century was supposed to be the age of reason and science. However, it appeared that science had separated itself from God and anything that was not science was suspect. The cruel irony was that many organizations had entire funds set up to study and record authentic examples of psychic phenomena, the ones science truly could not explain. Harvard University was one such institution. This school sent representatives and they did seem to believe in his authenticity, but neither Harvard nor any other school ever made any of the grant money available to Mr. Cayce to further study what he was doing for the people he helped.

Some people wanted Edgar to dress up in costume, hide behind curtains and appear mysterious. They even volunteered to pay him $1,000 a day to do this. Edgar refused. He would have nothing to do with any action that made his ability appear to be fraudulent. Edgar Cayce was not only honest to a fault with the skill God had given him he was also true to himself.

Medical authorities always remained skeptical of Cayce, discounting his readings because he had no formal medical training. Yet, despite this, Cayce’s treatment recommendations worked when the recommendations of allopathic doctors failed.

Consider how humiliating this would have been for these doctors: a man with a 9th grade education is able to correctly diagnosis, prescribe and heal people at a distance by going to sleep! The irony was that the physicians, who truly cared deeply about healing their patients, followed what Edgar said. The other doctors, who refused to believe his readings, would not.

Sometimes it was difficult for Edgar Cayce to understand within himself what this ability could do. Yet, Cayce was a man so pure of heart, that even though he often questioned himself, he continued to pray every day for Divine guidance. Sometimes he wondered if he should be doing this medical psychic work at all. Yet his patients were devoted to him. Cayce’s readings were successfully used to help his son with horrific photographic powder flash burns to his face and eyes. Edgar helped his wife, Gertrude with a life threatening illness. His readings helped his other son as well.

Cayce struggled with finances all of his life. Money was a chronic problem, primarily because he did not charge and was spending so much time helping people that he had difficulty developing his photographic career into a financially viable business. Edgar inherently knew to his very core, that to use his ability to charge large sums of money, or to help only those who could pay, would engender an absolute loss of that ability.

At one point in the readings, Mr. Cayce was advised to open a hospital in Virginia Beach, Virginia, which he did in November of 1928. There the hospital could charge people a nominal fee to defray the expenses of the hospital. Once the hospital was opened it was routinely booked three months in advance. The entire load of identifying treatments fell to Mr. Cayce and instead of doing the four readings a day that the readings advised, he raised them to six a day. From June 1943 to June 1944, Cayce gave 1385 readings. He did not want to say no to anyone in need. Finally, in one of the readings, he was told to rest or he would die. While he did rest for several months, he passed away in Jan of 1945 at the age of 68.

One might wonder why doing these readings was so exhausting for him; wasn’t the energy coming from God? After all, wasn’t he asleep and resting during the readings? Doing the readings was utterly exhausting because when any mortal soul acts as a medium, or conduit for the energy of the Divine, they literally are using their own body as a type of step-down transformer, making the energy of the Divine, the information of healing available on a level that the patient and the family would readily use. Mr. Cayce may have appeared to be resting, but he was in fact working most diligently. Even in the resting/sleeping state, it takes great concentration, discipline and skill to host such powerful energy, day after day, week after week, and year after year – for your entire life.

And what a life! Upon his death, Edgar Cayce left behind a life’s work of some 30,000 readings! This legacy of invaluable information, remedies, procedures and devices are still in use to this day. Perhaps we will never fully appreciate the degree of Edgar Cayce’s sacrifice. However, we can at least now have a greater respect for the depth of his pure love for humanity and the dynamic example of his tremendous service to all mankind.

Sunday, March 20, 2011

KS&L 347 The Challenges of Edgar Cayce Part 1

How many times have people wondered what it would be like to be psychic, not just a little, but to have real ‘powers’, powers that could change people’s lives. What if you had the power to tell someone what their illness was and how to cure it? What if you had the power to learn a book simply by sleeping with your head on the book? What if you had the super power of seeing into the future, or could share the reality of what had happened in the past, in places like Egypt, Atlantis, or Lemuria? Imagine. Wouldn’t that be awesome! Or would it?

What most people do not understand would be that to have those supposed powers, you would have to have the ability to live with the responsibility and the reactions of non-super power enhanced people. Sometimes, wanting and having are very different realities. Having abilities that are beyond the norm of ordinary people would end up being the challenge of a person’s entire lifetime.

And such is the extraordinary case of Edgar Cayce. Mr. Cayce never even contemplated having any such elevated psychic ability. The reality he probably expected, was living a simple life with a sweet wife, children, friends and neighbors and working at his job. He never dreamed of the life he would eventually be living. He certainly didn’t dream of being as famous as he eventually became.

Edgar Cayce was the real thing, a man with truly tremendous psychic skills. He literally was born with this ability and throughout his life he struggled to find the best use of it for the greatest good for all people. Learning how to use it in a spiritually correct way was hard enough. But fundamentally, it was the reactions of other people that were among the most challenging aspects of living and working with the most sophisticated psychic ability ever consistently recorded in modern times.

The child Edgar Cayce could see ghosts as well as nature spirits. Several family members also had this ability, which frequently runs in families. As a youngster, he discovered that he could learn the contents of any book, or any length, simply by sleeping on it. He was able to recall every single word in the correct order in whatever book he ‘slept on’ and he did not lose that memory over time. Is this a miracle? If that is not a skill the rest of us can easily acquire, then perhaps it can be considered a miracle.

As a young man, Mr. Cayce lost his voice for several months and no doctor could heal him. Finally, a very clever doctor suggested asking Edgar, while in the sleep state, how to help himself to heal. To everyone’s astonishment, a voice came from Edgar giving exact instructions for healing himself – on the spot! This event opened the door to Edgar Cayce’s life of service to those in need of healing through his life readings. Literally, he could lay down, instantly fall asleep and once a suggestion was made that a person at an address anywhere in the world needed healing, a voice would come from Cayce with exact instructions for healing this person. Once the patient had been acquired and their status recorded, then an analysis of the illness and treatment was meticulously provided. Mr. Cayce’s track record was impeccable. His knowledge while asleep, of anatomy, physiology, chemistry, homeopathy and healing was unmatched. Literally, he was never wrong. The patient may have needed follow-up later, but the initial diagnosis was routinely correct.

But Edgar Cayce had no more than a 9th grade education. He was not a doctor, and had never studied any of these topics, yet, one allopathic physician after the other verified that Edgar’s analysis was not simply correct but often genius. What Edgar Cayce was able to do, was in many minds, truly a miracle from God.

Often, however, miracles engender jealousy, fear, disbelief and resentment. If you are witnessing a miracle, you may be required to rethink your very belief structure. Sometimes this miracle will mean that what you believed to be true – something as common as: all psychics are charlatans – will have to change. Often the purity of Mr. Cayce’s intentions unnerved people and made them question him even more, even though he never charged for the services he provided.

Because of his unique ability, Mr. Cayce led a challenging life. Should he tell people what he could do? How should he help? How do you get people to believe the astounding? Cayce suffered not only insults, such as the Harvard professor, who, upon witnessing a reading, called him a simpleton and another physician referred with skepticism in his voice, to Edgar’s ‘so-called powers.’ But worse things were to come: he also suffered physically because of this disbelief.

Sunday, March 13, 2011

KS&L 349 Making Sense of the Inconceivable: The March to 2012

Everyone seems to be waiting for December 21, 2012 to arrive, expecting on that day, at that moment that some catastrophic event is going to take place. People wonder if the Mayans were correct and the world as we know it will end in terrible cataclysmic events. What if the Mayans were right and wrong all at the same time?

What if the world will not actually end, but life as we think we know it will end and a new time of change will begin? Perhaps that expected event is already happening. What if the karmic wheel is already turning and we as a planet are being allowed to have the energy of the events spread out over months, days and years. What if the events expected in 2012 are already in process? Think back to when our first creeping awareness of the validity of the predictions began to become manifest. Consider the following earthquake statistics* and remember that with the total number of quakes, of that number the higher ones are listed, ex. In 2001, 47 quakes were above a 6.0 on the Richter Scale and of those 47 quakes, 14 were above a 7.0 and one of the 47 was an 8:

1995 saw 59 above 6.0, none higher that year.

1996 saw 36 above 6.0, none higher that year.

1997 saw 37 above 6.0, none higher that year.

1998 saw 30 above 6.0, none higher that year.

1999 saw 37 above 6.0, none higher that year.

2000 saw 47 above 6.0, none higher that year.

2001 saw 45 above 6.0, 14 above 7.0 and one over 8.

2002 saw 20 above 6.0, 11 above 7.0 and none above 8.

2003 saw 34 above 6.0, 14 above 7.0 and an 8.3.

2004 saw 28 above 6.2, 9 above 7.0, one over 8 and a 9.1

2005 saw 33 above 6.0, 9 above 7.0 and one over 8.

2006 saw 27 above 6.0, 9 above a 7.0 and 2 over 8.

2007 saw 46 above 6.0, 15 above 7.0 and 4 over 8.

2008 saw 47 above 6.0, 12 above 7.0 and while none were over an 8 there was a 7.9 in China.

2009 saw 54 above 6.0, 17 above 7.0 and one over 8.

2010 saw 50 above 6.0, 22 above 7.0 and one over 8.

2011 as of 14 March: 14 above 6.0, 6 above 7.0, none over 8 and a 9.1.

The point to be made here is that it would appear, statistically speaking that the energy of our changing planet is being spread out over at least 15-20 years. Imagine if all of that energy were to be released at once. We would probably be vaporized! What is generating the events? Consider these facts:

• The frequency of the Earth is rising.

• We are in a period of significant solar flares which is why we have increased earthquake, tsunami, tornado, and volcano activity.

• The moon is now closer to the earth than at any time in recorded history. Imagine the power of that increased magnetic pull.

• The Earth is in the process of lining up with all of the other planets and this action is creating an additional huge shift in the magnetic pull on the Earth.

• Each massive quake over an 8.0 causes the Earth to rotate just a few microseconds faster. Consider that in the last 7 years, we have had 14 quakes over an 8.0. No wonder we seem to feel that time has speeded up!

• The faster the rotation, the faster the various stresses and strains on the core of the Earth.

........
This entry pairs a crystal structure of HoMg2Cd8 with its theoretical PXRD pattern. Radiation: Cu Kα (weighted mean of Kα1 and Kα2). Structure: a crystal structure in Alexandria, relaxed with PBE.
Intensities are scaled so that the largest is 100.

Cell and atoms:
Cell: 8.3710 8.3710 6.9203 Å, 103.72 103.72 32.05°
Fractional positions:
Ho (0.0000, 0.0000, 0.0000)
Mg (0.2602, 0.2602, 0.3515)
Mg (0.7398, 0.7398, 0.6485)
Cd (0.0920, 0.0920, 0.4779)
Cd (0.1899, 0.1899, 0.9061)
Cd (0.3663, 0.3663, 0.7873)
Cd (0.4434, 0.4434, 0.2580)
Cd (0.5566, 0.5566, 0.7420)
Cd (0.6337, 0.6337, 0.2127)
Cd (0.8101, 0.8101, 0.0939)
Cd (0.9080, 0.9080, 0.5221)

Principal peaks in the range 10 to 80 degrees two-theta, by angle:
2θ (°), Rel. int.
11.35, 18
32.33, 12
34.54, 95
34.66, 100
38.97, 36
40.19, 30
41.30, 27
57.23, 22
58.08, 19
67.75, 13
67.83, 14
69.34, 10

=====

1.
TaMoIr6: computed powder diffractogram (CuKα), based on a structure optimized by DFT (PBE).
Lines closer than 0.1° are merged.

Crystal structure
```
TaMoIr6
1.0
5.534 0.000 0.000
0.000 5.534 0.000
0.000 0.000 3.900
Ta Mo Ir
1 1 6
Direct
0.000 0.000 0.000 Ta
0.500 0.500 0.000 Mo
0.000 0.500 0.000 Ir
0.254 0.254 0.500 Ir
0.254 0.746 0.500 Ir
0.500 0.000 0.000 Ir
0.746 0.254 0.500 Ir
0.746 0.746 0.500 Ir
```

Largest 10 diffraction maxima, most intense first, 2θ from 15° to 90°:
d/Å, Position (°2θ), I/Imax, h k l
2.257, 40.0, 100, 2 0 1
1.957, 46.4, 33, 2 2 0
1.179, 81.6, 26, 4 2 1
1.381, 67.9, 21, 2 2 2
1.950, 46.6, 16, 0 0 2
1.177, 81.9, 13, 2 0 3
1.128, 86.2, 11, 4 0 2
1.384, 67.7, 11, 4 0 0
3.909, 22.8, 2, 0 0 1
2.764, 32.4, 1, 1 1 1


2.
TaMoIrW2: computed powder diffractogram (CuKα), based on a structure optimized by DFT (PBE).
Lines closer than 0.1° are merged.

Crystal structure
```
TaMoIrW2
1.0
4.700 0.000 0.000
0.000 4.700 0.000
0.000 0.000 4.616
Ta Mo Ir W
1 1 1 2
Direct
0.000 0.000 0.000 Ta
0.000 0.000 0.500 Mo
0.500 0.500 0.500 Ir
0.000 0.500 0.000 W
0.500 0.000 0.000 W
```

Largest 10 diffraction maxima, most intense first, 2θ from 15° to 90°:
d/Å, Position (°2θ), I/Imax, h k l
2.350, 38.3, 100, 2 0 0
2.697, 33.2, 95, 1 1 1
1.647, 55.8, 68, 2 0 2
3.293, 27.1, 52, 1 0 1
2.308, 39.0, 47, 0 0 2
1.348, 69.7, 35, 2 2 2
1.662, 55.3, 35, 2 2 0
1.415, 66.0, 26, 3 1 1
4.616, 19.2, 26, 0 0 1
1.913, 47.5, 24, 2 1 1


What is the formula in the first record? TaMoIr6

=====

# 1
# ErAl8Pd4
Simulated X-ray powder pattern, λ = 1.5418 Å (Cu Kα). Input: DFT lattice parameters and positions (GGA-PBE).

Peak list (10 most intense, 10° ≤ 2θ ≤ 80°, in order of rising 2θ)
- 14.2°, I 21
- 19.2°, I 22
- 20.1°, I 36
- 27.9°, I 29
- 28.6°, I 60
- 38.9°, I 100
- 40.4°, I 34
- 40.9°, I 53
- 44.2°, I 28
- 57.7°, I 43

Atomic structure:
Lattice parameters (Å, degrees): 6.807 6.807 6.807 99.18 99.18 132.91
Fractional positions:
Er1 0.000 0.000 0.000
Al1 0.000 0.348 0.348
Al2 0.000 0.652 0.652
Al3 0.280 0.500 0.780
Al4 0.348 0.000 0.348
Al5 0.500 0.280 0.780
Al6 0.500 0.720 0.220
Al7 0.652 0.000 0.652
........

There is a tremendous amount happening in the planet itself. This huge shift, spread out over roughly the last fifteen years is also making people feel increasingly uneasy. We are seeing rising levels of insanity, depression and greater and greater health problems. Many people are living longer, but enjoying it less because of their health. These Earth changes affect people in challenging, often political ways, as we are seeing. More and more people want less government, more freedom and greater access to information.

Hang on! It’s not over yet. We are about to see quite a bit of real estate rearranged as we fly through the next ten to fifteen years. Our task is to balance and digest each huge news event and it seems that events are coming at us faster and faster. We may all be suffering from outrage, astonishment, and catastrophe fatigue.

We will witness tremendous changes in our life times. We can move forward through this time with grace, if we accept that as challenging as this is to understand, all is still happening in perfect order. We really will be all right. Elements of our world may seem to end, but our beloved Earth will simply rearrange things a bit and many aspects of our lives will still be all right. Our prayers sent to all the people of the world, will help tremendously. Our calm determination to see all of this through combined with our absolute faith in the wisdom of the Divine, will surely assist us a we barrel toward 2012, and the already beginning New Age.


Sunday, March 6, 2011

KS&L 346 The Global Emotional Weather Front

Did you ever notice that when there is a weather front moving into your area you are able to feel the shift in energy? You watch the sky, prepare for what you may imagine coming and then observe whether or not it happens. You may even be able to sense the weather change in various parts of your body. Some people are so sensitive they even react to the phases of the moon. Even though you may often feel somewhat disconnected, on levels you are not aware of, you are still connected to nature because all of nature is energy.

Everything is energy.

Everyone is vibrating out some type of energy and ultimately you are connected to literally millions of people who are also vibrating out all types of negative, positive and neutral energy.

In today’s global society, we pride ourselves on how many ‘friends’ we have and those friends can extend to every country on the planet. This literally means that whether you consciously realize it or not, you are now absolutely, positively connected to everyone on the planet.

This remarkable web of connections isn’t getting smaller. It is growing exponentially with each passing minute. This isn’t simply about social networking sites; it is about having second-by-second access to global news, information, tragedy, triumph and catastrophe. People you never heard of are uploading information on YouTube and becoming an overnight sensation. Fifteen minutes of fame is now able to come to a friend, neighbor or co-worker near you.

In the Hawaiian Huna tradition, there is a description of something called ‘aka cords.’ Aka cords are created every single time you connect with another person, place or thing. On a spiritual level, these aka cords are a type of psychic energy string that emanates from your solar plexus. These strings, these aka cords, are the actual psychic connections you have created which link you to all of your social networking friends, families, co-workers and ‘five-degrees of separation’ friends all over the world.

Energy follows thought. All the thoughts that seven billion people are having are now ricocheting around the planet. We are all hopelessly connected on physical and now psychic levels. This means that when a group of people in a country is going through great turmoil, you can easily see how those feelings can begin to spread all over the world. These ideas, hopes, and frustrations are now traveling with the speed of thought.

The sheer volume of emotion from even one country facing civil war, civil unrest or natural catastrophe is going to echo out around the world in a type of informational energy wave. Now magnify that energy if the political problem is affecting several neighboring countries, and you have a tremendous wave of emotion that is going to sweep the world.

Back to our weather fronts: what is the difference between the energy wave of weather that you can know you can feel, and the energy wave of emotion from various countries in the midst of civil unrest? Well, there is no difference. The entire planet will feel the disturbance in the emotional force of one area. It is as if a ‘detrimental emotional front’ is on the horizon and you are becoming increasingly aware that you can feel it. How are you feeling it?

Having trouble sleeping?

Do you have a vague sense of unease but you are not sure where it is coming from?

Do you find that a growing distrust is forming within you of established institutions?

Are you feeling a sense of inner disquiet as you gaze into the future? Is the future you thought you were anticipating metamorphosisizing into something you no longer recognize?

Perhaps what you are feeling is the global emotional front. Just like any weather system, it flows around the planet in eddies and currents and so does the emotional energy of millions of people longing for something different in their lives. The difference is that now, because we are all so profoundly connected we can each feel it.

Welcome to the 21st Century.